Leptin Diet

Byron J. Richards - 2006
    Mastering the fat hormone leptin is the single most important factor in preventing obesity, diabetes, and heart disease. The Leptin Diet contains five simple lifestyle guidelines to get the hormone leptin into balance for permanent weight loss, increased energy, and optimum health. What is Leptin? Fat cells produce the powerful hormone leptin, a primary force instructing metabolism, weight loss, and hormone balance. Leptin communicates directly to your brain, telling the brain how much fat is in storage. It controls appetite, energy, and metabolic rate. Leptin problems are the primary reason for food cravings, overeating, faulty metabolism, the obsession with food, and heart disease. Read The Leptin Diet and notice the difference!

The Memory Illusion: Remembering, Forgetting, and the Science of False Memory

Julia Shaw - 2016
    We rely on them every day of our lives. They make us who we are. And yet the truth is they are far from being the accurate record of the past we like to think they are. True, we can all admit to having suffered occasional memory lapses, such as entering a room and immediately forgetting why, or suddenly being unable to recall the name of someone we've met dozens of times. But what if our minds have the potential for more profound errors, that enable the manipulation or even outright fabrication of our memories?In The Memory Illusion, forensic psychologist and memory expert Dr Julia Shaw uses the latest research to show the astonishing variety of ways in which our brains can indeed be led astray. She shows why we can sometimes misappropriate other people's memories, subsequently believing them to be our own. She explains how police officers can imprison an innocent man for life on the basis of many denials and just one confession. She demonstrates the way radically false memories can be deliberately implanted, leading people to believe they had tea with Prince Charles, or committed crimes that never happened. And she reveals how, in spite of all this, we can improve our memory through simple awareness of its fallibility. Fascinating and unnerving in equal measure, The Memory Illusion offers a unique insight into the human brain, challenging you to question how much you can ever truly know about yourself.

Freaks of Nature: What Anomalies Tell Us about Development and Evolution

Mark S. Blumberg - 2008
    Born and raised in a small town, they enjoy a close relationship, though each has her own tastes and personality. But the Hensels also share a body. Their two heads sit side-by-side on a single torso, with two arms and two legs. They have not only survived, but have developed into athletic, graceful young women. And that, writes Mark S. Blumberg, opens an extraordinary window onto human development and evolution.In Freaks of Nature, Blumberg turns a scientist's eye on the oddities of nature, showing how a subject once relegated to the sideshow can help explain some of the deepest complexities of biology. Why, for example, does a two-headed human so resemble a two-headed minnow? What we need to understand, Blumberg argues, is that anomalies are the natural products of development, and it is through developmental mechanisms that evolution works. Freaks of Nature induces a kind of intellectual vertigo as it upends our intuitive understanding of biology. What really is an anomaly? Why is a limbless human a freak, but a limbless reptile-a snake-a successful variation?What we see as deformities, Blumberg writes, are merely alternative paths for development, which challenge both the creature itself and our ability to fit it into our familiar categories. Rather than mere dead-ends, many anomalies prove surprisingly survivable-as in the case of the goat without forelimbs that learned to walk upright. Blumberg explains how such variations occur, and points to the success of the Hensel sisters and the goat as examples of the extraordinary flexibility inherent in individual development.In taking seriously a subject that has often been shunned as discomfiting and embarrassing, Mark Blumberg sheds new light on how individuals-and entire species-develop, survive, and evolve.

Rising of a Mage

J.M. Fosberg - 2012
    He looked up at Anwar and smiled. "That is the name I will be known by in the magical world," Anwar said. Gabrielle nodded, sat down and began leafing through the book written by his former apprentice. When farm boy Anwar discovers he has the ability to use magic he goes to the local wizards guild for help. As apprentice to Master Gabrielle, he soon surpasses his teacher's skills and knowledge and becomes a formidable member of the City Guard. While studying the magic arts, he meets Mariah, apprenticed in the art of healing. Anwar discovers that the girl he has fallen in love with will fight by his side with sword, knife and bow. When their city is attacked by a horde of marauding goblins, Anwar becomes a local hero. After the senseless slaughter of his family, Anwar vows to hunt the evil in the world and protect those who cannot protect themselves. Anwar, Mariah and his best friend Jabaal take off in search of knowledge and adventure. It doesn't take long for them to find it.

Advanced Biology

Michael Kent - 2000
    It provides complete coverage of the new A- and AS-level core specifications being taught from September 2000 onwards and presents concepts in separate, easily accessible double-page spreads. Each spread starts with learning objectives and ends with questions, to check understanding, making the book particularly suitable for self-study.

The Corporation

J.F. Gonzalez - 2010
    The offer on her desk from Corporate Financial Consultants included a high five figure salary, generous benefits and cushy perks. Finally, after a escaping the psychological abuse of an emotionally cold mother and a series of dead-end jobs she could start planning a future with her fiancé, Donald.However, Michelle forgot the cardinal rule for any job offer; always read the fine print. She really should have gotten more detail about her overtime hours,company policies, and exactly what they meant when they said “Welcome to the Corporate Financial family”.Michelle isn’t afraid of hard work. She’s a dedicated employee,the kind any manager would want for his firm. But this Corporation requires much more than just dedication...


Chris Colin - 2011
    He had started in the film industry as a lawyer and worked his way up to become a big-budget studio producer. He’d helped shepherd one of the most successful comedies in film history. He’d married the love of his life. And then one night, in a few seconds, everything changed.In Blindsight, author Chris Colin unspools the remarkable true story of a horrific accident and the life that followed it. A killer at large. Unlikely twists of fate. Miraculous medical oddities. Otherworldly perceptions. Lewis's is a tale of one man’s love and loss, and of the strange turns awaiting a life remade.

Medical-Surgical Nursing: Patient-Centered Collaborative Care, Single Volume

Donna D. Ignatavicius - 2009
    Ignatavicius and M. Linda Workman cover all the latest trends, evidence-based treatment guidelines, and additional updated information needed for safe clinical practice in medical-surgical nursing. This seventh edition features an expanded emphasis on patient safety and NCLEX? Examination preparation, new ties to the QSEN priorities for patient safety, and a greater alignment with the language and focus of clinical practice. A new chapter on evidence-based practice and a wealth of effective online learning tools help solidify your mastery of medical-surgical nursing.


Mark Wayne McGinnis - 2018
    Organic life forms are all but obliterated, and the human race is reduced to a tiny fraction of its population. This event is known as the Ruin. But five centuries later, humanity still survives. Cloudwalkers tells the story of Conn Brataich, a young man who lives a privileged life above the cloudbank, relying on his noble heritage—and the abilities it provides—to guide him through his beautiful but treacherous realm in the New York skylands, and Misty Casper, a Grounder who lives an arduous and somber life hundreds of feet below in the former subway tunnels of crumbling midtown Manhattan. Their two cultures live in uneasy, segregated codependence, rarely interacting until late one fall evening when, mysteriously, an experienced Cloudwalker of noble blood falls five hundred feet to his death. Conn is sent to recover the body in secret, but he doesn’t expect to encounter Misty on the dangerous streets of the dying city. Their chance encounter triggers a domino effect that throws them both headlong into a struggle for their very survival. Conn and Misty soon discover that only by working together can they succeed, but first they’ll have to put aside their preconceived notions about one another. Dark forces, long thought to have been expunged, have returned and are threatening to destroy both their ways of life. Through love, loss, and the looming threat of war, Misty and Conn will be forced to face their greatest fears for the sake of their very world and each other.

The Tell-Tale Brain: A Neuroscientist's Quest for What Makes Us Human

V.S. Ramachandran - 2011
    S. Ramachandran is at the forefront of his field-so much so that Richard Dawkins dubbed him the "Marco Polo of neuroscience." Now, in a major new work, Ramachandran sets his sights on the mystery of human uniqueness. Taking us to the frontiers of neurology, he reveals what baffling and extreme case studies can teach us about normal brain function and how it evolved. Synesthesia becomes a window into the brain mechanisms that make some of us more creative than others. And autism--for which Ramachandran opens a new direction for treatment--gives us a glimpse of the aspect of being human that we understand least: self-awareness. Ramachandran tackles the most exciting and controversial topics in neurology with a storyteller's eye for compelling case studies and a researcher's flair for new approaches to age-old questions. Tracing the strange links between neurology and behavior, this book unveils a wealth of clues into the deepest mysteries of the human brain.

Examkrackers MCAT Complete Study Package

Jonathan Orsay - 2005
    The set includes thirty-one 30-minute MCAT practice exams with answers and explanations and more than 1,600 MCAT questions.

The Stuff of Thought: Language as a Window into Human Nature

Steven Pinker - 2007
    His previous books, including the Pulitzer Prize finalist The Blank Slate, have catapulted him into the limelight as one of today's most important and popular science writers. Now, in The Stuff of Thought, Pinker marries two of the subjects he knows best: language and human nature. The result is a fascinating look at how our words explain our nature. What does swearing reveal about our emotions? Why does innuendo disclose something about relationships? Pinker reveals how our use of prepositions and tenses taps into peculiarly human concepts of space and time, and how our nouns and verbs speak to our notions of matter. Even the names we give our babies have important things to say about our relations to our children and to society. With his signature wit and style, Pinker takes on scientific questions like whether language affects thought, as well as forays into everyday life: why is bulk e-mail called spam and how do romantic comedies get such mileage out of the ambiguities of dating? The Stuff of Thought is a brilliantly crafted and highly readable work that will appeal to fans of readers of everything from The Selfish Gene and Blink to Eats, Shoots & Leaves.

The Wizard and the Dragon

Joseph Anderson - 2012
    After barely surviving the dragon's magic, Bryce flees into the nearby forest fearing that the dragon is still after him. He stumbles upon a mysterious tower built in the forest and finds shelter from the monster.

My Other Car is a Spaceship

[These data records were left in the article by mistake]
~~~
No. 1
Below is a geometry-optimized Fe3P4O16 structure, with properties calculated at the GGA+U level.

a b c (Å): 7.8394 8.9412 13.4354
angles (deg): 85.70 88.95 88.88
Closest atoms and distances in Å follow each position.
Positions (direct):
1 Fe 0.0000 0.0000 0.0000  5 O 1.97-2.06
2 Fe 0.0089 0.6545 0.3247  5 O 1.95-2.13
3 Fe 0.0346 0.3226 0.6595  4 O 1.90-2.04
4 Fe 0.1383 0.0724 0.3296  3 O 1.85-1.96
5 Fe 0.4728 0.4852 0.9909  5 O 1.94-2.08
6 Fe 0.4991 0.8342 0.6675  5 O 1.96-2.09
7 Fe 0.5365 0.1681 0.3375  5 O 1.94-2.07
8 Fe 0.6396 0.4114 0.6670  3 O 1.84-1.96
9 Fe 0.8717 0.5800 0.9984  3 O 1.84-1.96
10 P 0.1971 0.0183 0.7760  4 O 1.53-1.58
11 P 0.2004 0.6912 0.1098  4 O 1.54
12 P 0.2086 0.3545 0.4394  4 O 1.54-1.55
13 P 0.3018 0.5263 0.7752  4 O 1.54-1.55
14 P 0.3051 0.1840 0.1101  4 O 1.53-1.57
15 P 0.3190 0.8529 0.4403  4 O 1.54-1.57
16 P 0.6920 0.8003 0.8880  4 O 1.54-1.57
17 P 0.7056 0.4703 0.2183  4 O 1.53-1.57
18 P 0.7108 0.1308 0.5546  4 O 1.54-1.56
19 P 0.7986 0.3005 0.8868  4 O 1.53-1.59
20 P 0.8095 0.9623 0.2173  4 O 1.54
21 P 0.8195 0.6350 0.5559  4 O 1.53-1.58
22 O 0.0663 0.9020 0.7409  1 P 1.58
23 O 0.0716 0.5846 0.0683  1 P 1.54
24 O 0.0841 0.2417 0.3988  1 P 1.55
25 O 0.1275 0.4949 0.7306  1 P 1.54
26 O 0.1327 0.1613 0.0613  1 P 1.54
27 O 0.1391 0.1813 0.7526  1 P 1.53
28 O 0.1393 0.8488 0.3908  1 P 1.57
29 O 0.1447 0.5157 0.4118  1 P 1.54
30 O 0.1494 0.8557 0.0797  1 P 1.54
31 O 0.1820 0.9753 0.8893  1 P 1.55
32 O 0.1970 0.6655 0.2248  1 P 1.54
33 O 0.2091 0.3299 0.5549  1 P 1.55
34 O 0.2969 0.5015 0.8908  1 P 1.55
35 O 0.3001 0.1500 0.2262  1 P 1.57
36 O 0.3224 0.8222 0.5545  1 P 1.54
37 O 0.3614 0.6869 0.7470  1 P 1.54
38 O 0.3660 0.0188 0.4067  1 P 1.57
39 O 0.3696 0.3435 0.0899  1 P 1.53
40 O 0.3749 0.9960 0.7296  1 P 1.53
41 O 0.3790 0.6550 0.0670  1 P 1.54
42 O 0.3901 0.3280 0.3963  1 P 1.55
43 O 0.4275 0.0685 0.0630  1 P 1.56
44 O 0.4343 0.4136 0.7359  1 P 1.55
45 O 0.4463 0.7300 0.4118  1 P 1.54
46 O 0.5650 0.9228 0.9178  1 P 1.54
47 O 0.5817 0.5829 0.2665  1 P 1.55
48 O 0.5842 0.2481 0.5951  1 P 1.55
49 O 0.6185 0.3275 0.9306  1 P 1.54
50 O 0.6309 0.0009 0.2596  1 P 1.54
51 O 0.6393 0.6425 0.6092  1 P 1.58
52 O 0.6400 0.3110 0.2391  1 P 1.53
53 O 0.6444 0.6342 0.9206  1 P 1.57
54 O 0.6466 0.9711 0.5834  1 P 1.54
55 O 0.6911 0.8310 0.7739  1 P 1.54
56 O 0.7098 0.5040 0.1018  1 P 1.57
57 O 0.7108 0.1523 0.4385  1 P 1.56
58 O 0.8000 0.3317 0.7689  1 P 1.59
59 O 0.8135 0.9880 0.1024  1 P 1.54
60 O 0.8244 0.6705 0.4422  1 P 1.54
61 O 0.8584 0.7977 0.2487  1 P 1.54
62 O 0.8634 0.1397 0.9120  1 P 1.53
63 O 0.8643 0.4660 0.5866  1 P 1.57
64 O 0.8710 0.8040 0.9383  1 P 1.57
65 O 0.8799 0.4917 0.2649  1 P 1.54
66 O 0.8905 0.1550 0.5953  1 P 1.55
67 O 0.9246 0.4132 0.9257  1 P 1.55
68 O 0.9393 0.0683 0.2585  1 P 1.54
69 O 0.9471 0.7498 0.5872  1 P 1.53

## Properties
- energy relative to the lowest polymorph listed for this composition (eV/atom) = 0.037
- total magnetic moment (μB/f.u.) = 1.2

=====

No. 2
~~~

Mark Terence Chapman - 2014
    One minute Hal Nellis, former air force fighter pilot, is mowing his lawn; the next, he finds himself drafted to fight interstellar pirates set on sacking Earth and other backwater worlds. When the pirate ships acted independently, the civilian Merchants’ Unity had no trouble keeping them under control. But when the pirates organized to better coordinate their activities, they became an unstoppable force, pushing the underfunded Unity to the brink of collapse and leaving backwater worlds like Earth defenseless. As one of the rare humans with the hypertasking gene, Hal is able to pilot the best the Unity has to offer. With his help, and that of Captain Kalen Jeffries—the son of human slaves, the remaining ships of the Unity plan a last-ditch effort to break the pirate hegemony. Succeed, and the pirate organization is crushed forever; fail, and the people of Earth and countless other worlds are doomed to slavery and death. Prepare for a rollicking adventure full of twists and turns you won’t see coming. It's part “Kidnapped,” part “The Guns of Navarone,” and part “The Great Escape.” For more information about the author and his books, visit his website at: http://MarkTerenceChapman.com Or read his blog at: http://tesserene.blogspot.com

The Brain that Changes Itself: Stories of Personal Triumph from the Frontiers of Brain Science

Norman Doidge - 2007
    Psychiatrist and psychoanalyst, Norman Doidge, M.D., traveled the country to meet both the brilliant scientists championing neuroplasticity and the people whose lives they’ve transformed - people whose mental limitations or brain damage were seen as unalterable. We see a woman born with half a brain that rewired itself to work as a whole, blind people who learn to see, learning disorders cured, IQs raised, aging brains rejuvenated, stroke patients learning to speak, children with cerebral palsy learning to move with more grace, depression and anxiety disorders successfully treated, and lifelong character traits changed. Using these marvelous stories to probe mysteries of the body, emotion, love, sex, culture, and education, Dr. Doidge has written an immensely moving, inspiring book that will permanently alter the way we look at our brains, human nature, and human potential.